Cesspool Pilot Grant Program (CPGP)

Table of Contents
- Procedures
- PDf of Application
- How to Determine your Household Area Median Income?
- I received a grant qualification letter, what do I do now?
- Informational Training Video
- Frequently Asked Questions (FAQ)
Click this link to download a PDF version
The purpose of this grant program is to assist low‐ and moderate‐income property owners with converting, upgrading or connecting cesspools to a more environmentally appropriate method of managing and treating wastewater.
Available Funds:
- Each grant recipient is eligible to receive up to $20,000 in reimbursements for their cesspool conversion or connection costs incurred.
- Grant program will have a total of $5 million and be allocated on a first‐come, first‐served basis, subject to funding availability. The submit date of a complete application will determine applicant’s priority to receive the available funding.
Eligibility Requirements:
- Applicant must be an owner of real property or a Department of Hawaiian Homelands (DHHL) lessee.
- Subject cesspool must be in either a priority level 1 or 2 area as identified by the University of Hawaii’s 2021 Hawaii Cesspool Hazard Assessment and Prioritization Tool (HCHAPT). To check if you are in the priority areas use the following map tool:
or download a list of eligible TMKs based on county:
When searching for the TMK of a Condominium Property Regime (CPR), please search for only the first nine-digits of the TMK.– City and County of Honolulu – List of Eligible TMKs – pdf– Kauai County – List of Eligible TMKs – pdf– Maui County – List of Eligible TMKs – pdf– Hawaii County – List of Eligible TMKs – pdf - Household income of applicant, based on the owner or lessee’s federal tax return of the most recent taxable year that has closed, cannot exceed 140% of the area median income (AMI) as determined by the U.S. Department of Housing and Urban Development. Please click here for additional instructions.
- Cesspools that have been upgraded or converted to an Individual Wastewater System (IWS) that has an Approval-To-Use date or connected to a sewage system prior to July 1, 2022, are not eligible for reimbursement under this CPGP.
- If you meet all the eligibility criteria: Please complete and submit a grant application to the Department of Health. Department staff will review your application and will notify you if: (1) your application is complete; and (2) you are eligible to receive the grant.
- If it is determined that you are eligible to receive a grant, the applicant will be required to submit the documents listed below to the Department within nine (9) months of receiving a Grant Qualification Letter notifying you that you are eligible to receive the grant. Please be aware that the IWS must be installed and approved for use within nine (9) months to qualify for this grant reimbursement.

How to Determine your Household Area Median Income?
Click this link to download a PDF version
Step 1
Step 2
Step 3
Step 4
Step 5
2021 – 140% Area Median Income (AMI)
Family Size (# of Persons) | ||||||||
1 | 2 | 3 | 4 | 5 | 6 | 7 | 8 | |
Hawaii County | $84,000 | $95,900 | $107,940 | $119,840 | $129,500 | $139,020 | $148,680 | $158,200 |
Maui County | $101,360 | $115,780 | $130,200 | $144,620 | $156,240 | $167,860 | $179,340 | $190,960 |
<<<
The following is a DFT calculation (ωB97M-V with the def2-TZVPD basis set) of the ion C3H2NOS2 with charge -1.

The geometry in ORCA input format:
```
! RIJCOSX wB97M-V def2-TZVPD def2/J DEFGRID3
* xyz -1 1
C -0.17016 1.15146 -0.20209
C 0.34041 -1.17841 0.19033
C 0.44269 0.54735 -1.22621
N 0.73288 -0.78365 -1.01657
O 1.28990 -1.57745 -1.82248
S 0.93864 1.75321 -2.97308
S -0.41386 0.03893 1.13109
H -0.49551 2.16561 -0.12335
H 0.47554 -2.18378 0.53586
*
```

Properties
LUMO energy (eV): 3.0
Kohn-Sham gap (eV): 6.19
ΔE to the lowest compared entry with this formula, charge and spin (kJ/mol): 436.2
Maximum force (Eh/bohr): 0.1046
Highest occupied orbital energy (hartree): -0.1181

=====

The following is a DFT calculation (ωB97M-V with the def2-TZVPD basis set) of a cluster of 2 separate species, C10H20Cl2N2OP in total.

The geometry in ORCA input format:
```
! RIJCOSX wB97M-V def2-TZVPD def2/J DEFGRID3
* xyz -1 1
C 0.01053 0.68202 -1.01714
C -1.39501 1.23045 -1.31636
P -2.52465 0.30295 -2.46106
C -3.38834 -0.80447 -1.25687
C -2.56570 -1.46683 -0.12728
N -1.66603 -0.55064 -3.61228
C -0.98135 -1.64374 -3.37971
Cl -1.91992 -3.20548 -2.96610
C 0.33084 -1.90872 -3.50631
C 1.03044 -3.22268 -3.29956
Cl 1.38151 -0.60848 -4.01008
H 0.71408 1.07085 -1.75448
H 0.04679 -0.40512 -1.02788
H 0.36065 1.02291 -0.03967
H -1.32853 2.24020 -1.71952
H -1.94864 1.30309 -0.37236
H -3.93337 -1.55565 -1.82518
H -4.12529 -0.14416 -0.79107
H -2.96985 -2.45417 0.10899
H -1.55090 -1.66346 -0.47352
H -2.53735 -0.84730 0.76668
H 0.88599 -3.88483 -4.15966
H 2.10237 -3.04701 -3.22175
H 0.68657 -3.72029 -2.39467
C 1.05883 0.94104 3.26727
O 0.70047 0.77285 2.12360
N 2.00192 1.83644 3.63690
C 2.40715 2.01169 5.01183
C 2.61793 2.64168 2.59559
H 0.64218 0.37085 4.11663
H 2.21752 3.03485 5.34592
H 3.47248 1.80034 5.13339
H 1.84384 1.32986 5.64615
H 1.86375 3.22934 2.07179
H 3.10932 2.00376 1.86077
H 3.34978 3.30785 3.04701
*
```

Properties
LUMO energy (eV): 2.2
Kohn-Sham gap (eV): 5.14
ΔE to the lowest compared entry with this formula, charge and spin (kJ/mol): 0.0
Maximum force (Eh/bohr): 0.0361
Highest occupied orbital energy (hartree): -0.1063

=====

The following is a DFT calculation (ωB97M-V with the def2-TZVPD basis set) of an isolated molecule of C6H10N2O2.

The geometry in ORCA input format:
```
! RIJCOSX wB97M-V def2-TZVPD def2/J DEFGRID3
* xyz 0 1
C -0.98851 -1.86994 0.05048
C 1.61979 0.32131 -0.09071
C -1.02453 0.39115 0.16406
C 2.67785 -0.73077 -0.47888
C -1.23582 0.89206 1.52921
C -1.16307 1.18382 -1.16100
N 0.24507 -1.61872 0.08979
N 0.44494 -0.27933 0.10467
O 1.88981 1.55533 0.05993
O -1.84588 -0.84894 -0.06608
H -1.48748 -2.82891 0.20068
H 2.81995 -0.73164 -1.56659
H 2.26661 -1.79396 -0.23033
H 3.59543 -0.49881 0.04007
H -0.84531 0.13119 2.22838
H -2.25111 0.87420 1.89006
H -0.94382 1.89626 1.74045
H -0.79000 0.59071 -1.97860
H -0.75346 2.17576 -1.17986
H -2.23045 1.18921 -1.34573
*
```

Properties
LUMO energy (eV): 0.7
Structure (SMILES): CC(=O)N1N=COC1(C)C
>>>
Kauai County | $99,960 | $106,080 | $119,340 | $132,470 | $143,130 | $153,790 | $164,320 | $174,980 |
City & County of Honolulu | $118,440 | $135,380 | $152,320 | $169,120 | $182,700 | $196,280 | $209,720 | $223,300 |
2022 – 140% Area Median Income (AMI)
Family Size (# of Persons) | ||||||||
1 | 2 | 3 | 4 | 5 | 6 | 7 | 8 | |
Hawaii County | $93,380 | $106,680 | $119,980 | $133,280 | $144,060 | $154,700 | $165,340 | $175,980 |
Maui County | $111,860 | $127,820 | $143,780 | $159,740 | $172,620 | $185,360 | $198,100 | $210,980 |
Kauai County | $111,720 | $127,680 | $143,340 | $159,600 | $172,480 | $185,220 | $197,960 | $210,700 |
City & County of Honolulu | $128,100 | $146,300 | $164,640 | $182,840 | $197,540 | $212,000 | $226,800 | $241,360 |
Information for Qualifying Applicants
If you received a Grant Qualification Letter that means you qualify to receive the reimbursement. Only about 200 Grant Qualification Letters were sent due to the limited funding available for this pilot program. If you have not received a letter yet, please note that we are maintaining a waitlist and if a new spot opens up, we will send a Grant Qualification Letter to the next person on the list.
For those of you who have received the Grant Qualification, first of all, Congratulations!! The Department is aware of the financial burden that these upgrades impose on homeowners and we are happy to provide this grant program. Please read the letter and the Hawaii Cesspool Compliance Pilot Grant Agreement. After reading both, if you choose to proceed with the grant, please sign the Hawaii Cesspool Compliance Pilot Grant Agreement, make a copy for your records and then send us the signed original Agreement in full (i.e., all three (3) pages) via mail or in person to our Oahu office. If you choose to not proceed with the grant, please notify our office so that we can free up the spot for a different applicant.
**Next to the page, the page also holds calculated molecules:**
Entry 1:
A cluster of 2 separate species, C3H9N in total in a non-equilibrium geometry. Source: the Open Molecules 2025 dataset; level of theory: ωB97M-V/def2-TZVPD.

- LUMO: 0.036 hartree
- Highest occupied orbital energy: -9.004 eV
- Energy above the lowest of the compared OMol25 structures with the same formula, charge and spin: 261.9 kJ/mol
- HOMO-LUMO gap: 9.99 eV
- Calculated total energy: -174.35331 Eh
- SMILES: C=C.CN

Geometry as ORCA input:
```
! wB97M-V def2-TZVPD RIJCOSX def2/J DEFGRID3
* xyz 0 1
N 1.687 -0.265 -0.383
C -1.898 0.617 0.454
C -1.715 0.813 1.819
C 1.560 -0.924 -1.606
H -0.683 0.990 2.246
H 2.653 -1.296 -1.886
H -1.382 1.362 -0.070
H -2.367 0.042 2.405
H 1.040 0.527 -0.160
H 1.670 -0.922 0.326
H 0.821 -1.664 -1.789
H -2.640 -0.038 -0.013
H 1.397 -0.184 -2.375
*
```



Entry 2:
A cluster of 2 separate species, C3H9N in total in a non-equilibrium geometry. Source: the Open Molecules 2025 dataset; level of theory: ωB97M-V/def2-TZVPD.

- LUMO: 0.033 hartree
- Highest occupied orbital energy: -9.547 eV
- Energy above the lowest of the compared OMol25 structures with the same formula, charge and spin: 136.5 kJ/mol
- HOMO-LUMO gap: 10.45 eV
- Calculated total energy: -174.40104 Eh
- SMILES: C=CC.N

Geometry as ORCA input:
```
! wB97M-V def2-TZVPD RIJCOSX def2/J DEFGRID3
* xyz 0 1
N -4.504 1.888 1.374
C 1.226 0.063 -0.312
C 2.394 -0.576 -0.997
C 3.017 -1.661 -0.536
H -4.292 1.432 2.247
H 3.479 -2.437 -1.143
H 2.360 -0.559 -2.083
H -5.400 1.577 1.001
H -3.927 1.479 0.641
H 3.043 -2.036 0.489
H 0.355 -0.019 -0.987
H 0.923 -0.292 0.662
H 1.326 1.141 -0.356
*
```



Entry 3:
The molecule C3H9N in a non-equilibrium geometry. Source: the Open Molecules 2025 dataset; level of theory: ωB97M-V/def2-TZVPD.

- LUMO: 0.044 hartree
- Highest occupied orbital energy: -8.619 eV
- Energy above the lowest of the compared OMol25 structures with the same formula, charge and spin: 69.1 kJ/mol
- HOMO-LUMO gap: 9.83 eV
- Calculated total energy: -174.42674 Eh
- SMILES: CN(C)C

Geometry as ORCA input:
```
! wB97M-V def2-TZVPD RIJCOSX def2/J DEFGRID3
* xyz 0 1
N 0.299 -0.447 0.052
C 1.060 0.698 -0.437
C -0.738 -0.821 -0.884
C -0.244 -0.031 1.346
H 1.461 0.473 -1.410
H -1.475 0.002 -1.023
H 1.935 1.003 0.189
H 0.407 1.560 -0.487
H 0.571 0.216 2.006
H -0.268 -1.059 -1.832
H -0.913 -0.807 1.772
H -1.240 -1.688 -0.476
H -0.854 0.902 1.184
*
```



Entry 4:
The molecule C3H9N2 in a non-equilibrium geometry. Source: the Open Molecules 2025 dataset; level of theory: ωB97M-V/def2-TZVPD.

- LUMO (alpha / beta): 0.036 / 0.032 hartree
- Highest occupied orbital energy (alpha / beta): -3.581 / -6.308 eV
- Energy above the lowest of the compared OMol25 structures with the same formula, charge and spin: 366.6 kJ/mol
- HOMO-LUMO gap (alpha / beta): 4.56 / 7.18 eV
- Calculated total energy: -229.00156 Eh

Geometry as ORCA input:
```
! wB97M-V def2-TZVPD RIJCOSX def2/J DEFGRID3
* xyz 0 2
N 0.894 0.397 1.378
N -0.510 0.819 -1.836
C -0.151 -1.553 0.099
As written in Section 2.1(a), the upgrade or connection must be completed within 270 days of receiving the Grant Qualification Letter. The Department is aware that wastewater system installations and connections, like other construction projects, are occasionally subject to delays that are outside of the owner’s control. The Department wants to support homeowners in their efforts to upgrade their wastewater systems and will do its best to work with homeowners who experience these types of delays.
Please be sure to make a copy of all your documents and receipts. We are still in the process of finalizing the reimbursement procedures, but once complete and we receive your documents and receipts (as required by the Hawaii Cesspool Compliance Pilot Grant Agreement), the reimbursement will take 3 to 4 months to process through the State’s internal systems. Thank you for your continued patience and cooperation as we work to carry out this Pilot Grant Program.
Supplemental Informational Training Video
Frequently Asked Questions (FAQ)
How were the priority areas chosen?
With the cooperation of the University of Hawaii, the Cesspool Conversion Working Group (CCWG), and the Department of Health (DOH), a detailed ranking was developed that considers multiple risks including risks to environment, sensitive ecosystems, human health, etc. This detailed ranking was then used to create a cumulative score for areas defined by the pre-defined geographic boundaries of the United States Census. The results of this study are detailed in the 2021 Hawaii Cesspool Hazard Assessment and Prioritization Tool (HCHAPT).
The areas with the highest priorities (i.e., Level 1 and 2) were prioritized for the purposes of this pilot grant program.
For further information regarding the HCHAPT, please visit https://seagrant.soest.hawaii.edu/cesspools-tool/ for more details.
Are properties owned under a trust eligible for the grant?
Yes, the applicant should be one of the owners under the trust and the eligibility requirement related to the AMI should be calculated based on the applicants 1040 Federal Tax Return.
I want to submit my application by mail, will a delay in mail delivery hurt my chances of receiving the grant reimbursement?
We understand that this is a concern given the first-come, first-serve basis of the program. To account for this, the Department will use the postmark date on mailed applications to determine the time of submission.
When submitting a copy of my tax return for the application, can I just submit a photo of the tax return?
Unfortunately, no, we will not be accepting photos of tax returns. We need to ensure that the copy of the tax return is legible. If you need to access a copy machine, please note that Hawaii State Public Libraries offer copying services: https://www.librarieshawaii.org/how-do-i/use-the-library/make-copies/.
How long will it take for my initial application to be processed?
It will take us about one (1) month to process application forms due to limited departmental resources. We appreciate your patience and understanding regarding this matter.
How many grants will be given?
The number of grants that will be given is based on the available funds. After adjusting for administrative costs, the number of available grants is currently capped at 225. We will be maintaining a limited waitlist for the program as well.
How will the reimbursement be given? How long will this take?
The reimbursement will be sent in the form of a check addressed to the grant recipient. Please allow two to three months for the processing and delivery of the reimbursement.
Would the reimbursement count towards my income for the purposes of my federal and state tax returns?
Although the Department of Health (Department) requested approval in December 2023 from the U.S. Secretary of Agriculture and U.S. Secretary of the Treasury to approve the Hawai‘i Cesspool Compliance Pilot Grant Program as a tax-exempt incentive program, the Department has not received confirmation of federal approval from either Secretary. As such, the cesspool conversion grant reimbursement remains taxable for federal and state income tax purposes. Grant recipients should consult with their tax preparer/advisor. If these approvals are ever acquired, then these reimbursements may be excluded from taxation.
What happens to my application and tax returns, which has sensitive personal information?
After your application is processed, the sensitive information will be redacted and then shredded. Non-sensitive information will be retained to track applications and process reimbursement.